Fortune Preschool Newsletter - Elk Grove


The Terrific Twos and Threes room has been learning about their colors! This past week, they decided to focus on the color red. Between using red paint and red playdough, the children have been excited to do any activity that involved the color red. 

The children in the three and four year old classroom have been exploring with the ramps and balls set. As the children build, test and experiment, they will strengthen their critical thinking, early STEM skills and more. This wonderful activity is a great way to get everyone involved and helps to keep the learning fun!

A few reminders:

-Sign your child in & out every day. Don't forget your Child Action attendance as well!

-Please pack three changes of clothing for your child in case of accidents

-Replace diapers/pull-ups as needed to prevent running out

-Bring in a family photo for a future project

-Take home your child's nap sack and sheet to wash on Fridays

-Wear your mask when dropping off & picking up your child and sign in & out on the visitor log


Dates to Remember.....


Fortune Preschool will be closed on the following days - 


-Monday, June 19th - Juneteenth

-Tuesday, July 4th - Independence Day

### Records of molecules, as found in the file
- - -
# 1
Computed, not measured: C4H6N2OS in the gas phase, with ωB97M-V/def2-TZVPD.

Element x y z (Å)
O1 -2.535 -0.874 -0.110
N1 -1.222 -0.429 -0.375
C1 -1.108 0.927 -0.786
N2 -0.305 1.662 -0.146
C2 0.231 0.925 0.936
C3 0.912 -0.300 0.774
S1 2.220 -0.498 -0.501
C4 -0.498 -0.517 0.829
H1 -2.444 -1.809 -0.523
H2 -1.648 1.101 -1.702
H3 0.342 1.580 1.807
H4 1.250 -0.387 1.887
H5 1.720 0.649 -0.996
H6 -1.004 -1.025 1.563

Computed properties:
* energy: -20103.989 eV
* E_HOMO: -9.23 eV
* relative energy (zero: lowest compared OMol25 entry of this formula, charge and spin): 123.44 kcal/mol
* SMILES: ON1C=N[C@@H]2[C@H](S)[C@@H]21
* 2S+1: 1

natural (NBO) population analysis, charges in e, atoms 1 to 5: -0.55 -0.17 0.23 -0.43 -0.10

# 2
Computed, not measured: C4H6N2OS in the gas phase, with ωB97M-V/def2-TZVPD.

Element x y z (Å)
H1 3.092 0.217 -0.533
N1 2.520 -0.516 -0.068
C1 1.283 -0.402 -0.039
C2 0.365 0.891 -0.305
C3 -1.120 0.756 0.248
C4 -2.019 -0.435 0.025
O1 -3.176 -0.292 -0.087
S1 -0.960 -1.724 -0.290
N2 0.541 -1.526 0.417
H2 0.324 0.984 -1.539
H3 0.845 1.711 0.179
H4 -1.586 1.849 -0.089
H5 -1.277 0.866 1.425
H6 1.170 -2.380 0.656

Computed properties:
* energy: -20105.739 eV
* E_HOMO: -9.03 eV
* relative energy (zero: lowest compared OMol25 entry of this formula, charge and spin): 83.08 kcal/mol
* SMILES: [H]/N=C1\CCC(=O)SN1
* 2S+1: 1

natural (NBO) population analysis, charges in e, atoms 1 to 5: 0.36 -0.71 0.46 -0.48 -0.54

=====

ORCA calculation (ωB97M-V/def2-TZVPD) on 2 unconnected molecules or ions with the total composition C5H11OS.

```
18
Properties=species:S:1:pos:R:3:forces:R:3
C 2.404 -2.420 1.074 -0.187 -0.066 -0.163
C 1.437 -1.981 0.258 0.171 -0.092 0.318
O 1.633 -1.198 -0.798 0.125 -0.042 -0.052
H 2.127 -3.088 1.881 0.130 0.124 -0.001
H 3.443 -2.157 0.916 -0.030 -0.053 0.030
H 0.399 -2.239 0.457 -0.084 -0.019 -0.101
H 0.729 -0.961 -1.186 -0.066 0.201 -0.004
C -0.350 1.297 0.828 -0.013 0.036 0.019
C -1.042 1.895 -0.394 0.162 0.142 0.328
C -1.961 0.932 -1.110 0.067 -0.656 -0.262
S -1.192 -0.608 -1.767 -0.097 0.099 0.030
H -1.084 1.003 1.586 0.008 -0.020 -0.060
H 0.330 2.019 1.288 0.003 -0.012 0.007
H 0.223 0.412 0.553 -0.047 0.101 0.033
H -1.631 2.768 -0.065 0.088 -0.025 -0.127
H -0.290 2.252 -1.102 0.061 0.023 -0.005
H -2.394 1.429 -1.972 -0.213 0.227 -0.073
H -2.780 0.645 -0.446 -0.077 0.033 0.083
```
Positions in Å, forces in eV/Å.

The value obtained for the HOMO energy is -3.03 eV. Its energy relative to the best compared isomer or geometry (same formula, charge and spin) is 3.77 kcal per mole. Its calculated total energy is -18246.825 eV. As for the total charge: -1.

Löwdin population analysis, charges in e, atoms 1 to 2: number 1, C, carries -0.0431; number 2, C, carries -0.3682

***

ORCA calculation (ωB97M-V/def2-TZVPD) on 2 unconnected molecules or ions with the total composition C5H11OS.

```
18
Properties=species:S:1:pos:R:3:forces:R:3
C -1.222 1.297 0.383 0.249 -0.019 0.039
C -1.549 0.528 1.623 -0.392 0.191 0.181
- - -

-Wednesday, August 2nd - Friday, August 4th - Staff Development Days 

Why are Board Games Important?

-Board games offer opportunities for learning such as counting, colors, and shapes.

-Teamwork is learned when playing a board game.

-Healthy brain development occurs when playing a board game.

-Board games help to boost language skills.

-Board games can help children to make friends more easily when having to play together.

-Children's attention spans are increased when playing board games.

How to Raise a Reader

Ms. Johnson reading to a group of scholars.


Aaryn's Pre-Reading Skills Video


• Read together every day and everywhere. Ask children to bring a book or two when heading to the park. 

• Think “outside the book” and read out loud. When grocery shopping, read signs and labels. Read a recipe together. Go on a scavenger hunt for sounds and letters.

• Send positive messages about the joy of reading. Make a trip to the library an adventure. 

• Reread favorites. Children love to hear their favorite stories over and over again. Capture the child’s attention by pointing to words and pictures as you read.

• Expose children to “mirror” and “window” books where they see themselves represented and also learn about different cultures and experiences. 

• Talk, talk, talk. A child’s vocabulary grows through rich conversations with others. They are really listening to you.